Clue FamousFilms

Clue FamousFilms

749 9 6

Bryan didn't reveal this to the others b, but he was invited to a dinner party,But bad news his car broke down, and he has to flag down a car.It was Jon and when bryan told him where he was going Jon told him he received an invitation just like his.…

The Pearl Family

The Pearl Family

682 98 78

The town of Millburrow. Early in 1962. Edgewood Hybrid School is the only school for Hybrids in town.The entire town, like the rest of the country, treat Hybrids like second class citizens. They have to go to the back of the line in the grocery store if a human is at the front. They can't eat at the same restaurants, can't be in the same movie theaters. They have to sit in the back of the bus. They can't even drink from the same water fountains.But in the small town in the Midwest of America, lived a normal Hybrid Wolf Family. The Pearls, Justin and Jessica, and their five kids. with other Hybrids along for the ride.This is their story.(Updates every Saturday)…



145 7 8

Here I post ideas, OCs, and announcements.…

Ultimate Academy

Ultimate Academy

482 27 28

The Ultimate Academy scouts teenagers to enroll in the prestigious school. And the school just got a brand new teacher for Class 79.What will happen in this environment.…

Pearl Literature Club (Simulacra:2)

Pearl Literature Club (Simulacra:2)

297 10 11

The pearl literature club.A very popular dating sim for girls. It gives you the option of romancing one of the four pearl boys. Joey: The deep and bit clingy but kind boy who is more than meets the eye. The oldest of the boysJason: The 'Bad' boy. But is he really bad? Twin brother of your best friend Justine.Jackson: The sweet and easily excited youngest one. A bit standoffish but fun.Henry: He's brains & beauty, he's popular and athletic. He's smart and can help with anything. 01010100 01001000 01000101 00100000 01010011 01001001 01001101 01010101 01001100 01000001 01000011 01010010 01000001 00100000 01001001 01010011 00100000 01001000 01000101 01010010 01000101 00100001 00100001Who will the main character fall in love with! Also, ignore that binary. It's a glitch in my whatever it is I'm typing this on.…



5,041 193 13

Bryan got engaged he told everyone, everyone loved it then They saw the seating chartBryan's family &Freinds leftRhinos Family & Freinds RightBut the list didn't have their names on it.…

Simulacra! Bryans story

Simulacra! Bryans story

== Crystal structures from another source follow ==
........
[1]
# Be2CdTeO6
Calculated X-ray diffraction stick pattern, Cu Kα X-rays. Input: a DFT-relaxed cell (GGA-PBE, Alexandria).

Largest 10 diffraction maxima, sorted by position, 2θ from 10° to 80°:
two_theta	intensity
14.03	24
18.69	26
19.64	100
26.11	33
28.86	53
31.78	21
33.25	41
34.41	25
37.91	21
41.87	39

Atomic structure:
```
data_Be2CdTeO6
_chemical_formula_sum 'Be4 Cd2 Te2 O12'
_cell_length_a 6.565
_cell_length_b 6.565
_cell_length_c 5.797
_cell_angle_alpha 105.85
_cell_angle_beta 105.85
_cell_angle_gamma 84.40
_space_group_name_H-M_alt 'P 1'
_space_group_IT_number 1
loop_
_space_group_symop_operation_xyz
'x,y,z'
loop_
_atom_site_label
_atom_site_type_symbol
_atom_site_fract_x
_atom_site_fract_y
_atom_site_fract_z
_atom_site_occupancy
Be1 Be 0.127 0.273 0.146 1
Be2 Be 0.273 0.127 0.646 1
Be3 Be 0.727 0.873 0.354 1
Be4 Be 0.873 0.727 0.854 1
Cd1 Cd 0.404 0.596 0.750 1
Cd2 Cd 0.596 0.404 0.250 1
Te1 Te 0.214 0.786 0.250 1
Te2 Te 0.786 0.214 0.750 1
O1 O 0.101 0.216 0.817 1
O2 O 0.126 0.703 0.899 1
O3 O 0.216 0.101 0.317 1
O4 O 0.257 0.490 0.295 1
O5 O 0.297 0.874 0.601 1
O6 O 0.490 0.257 0.795 1
O7 O 0.510 0.743 0.205 1
O8 O 0.703 0.126 0.399 1
O9 O 0.743 0.510 0.705 1
O10 O 0.784 0.899 0.683 1
O11 O 0.874 0.297 0.101 1
O12 O 0.899 0.784 0.183 1
```

[2]
# Cr3W4
Calculated X-ray diffraction stick pattern, Cu Kα X-rays. Input: a DFT-relaxed cell (GGA-PBE, Alexandria).

Largest 10 diffraction maxima, sorted by position, 2θ from 10° to 80°:
two_theta	intensity
17.74	16
37.31	89
41.60	51
42.13	100
43.35	15
47.19	23
57.52	18
67.29	16
70.59	43
79.54	17

Atomic structure:
```
data_Cr3W4
_chemical_formula_sum 'Cr3 W4'
_cell_length_a 4.820
_cell_length_b 4.820
_cell_length_c 5.000
_cell_angle_alpha 90.00
_cell_angle_beta 90.00
_cell_angle_gamma 120.00
_space_group_name_H-M_alt 'P 1'
_space_group_IT_number 1
loop_
_space_group_symop_operation_xyz
'x,y,z'
loop_
_atom_site_label
_atom_site_type_symbol
_atom_site_fract_x
_atom_site_fract_y
_atom_site_fract_z
_atom_site_occupancy
Cr1 Cr 0.000 0.500 0.000 1
Cr2 Cr 0.500 0.000 0.000 1
Cr3 Cr 0.500 0.500 0.000 1
W1 W 0.000 0.000 0.251 1
W2 W 0.000 0.000 0.749 1
W3 W 0.333 0.667 0.500 1
W4 W 0.667 0.333 0.500 1
```

[3]
# Rb2NaI7
Calculated X-ray diffraction stick pattern, Cu Kα X-rays. Input: a DFT-relaxed cell (GGA-PBE, Alexandria).

Largest 10 diffraction maxima, sorted by position, 2θ from 10° to 80°:
two_theta	intensity
14.48	16
21.94	19
24.31	100
25.92	37
29.19	64
39.43	47
41.75	23
48.90	28
49.79	27
74.66	14

Atomic structure:
```
data_Rb2NaI7
_chemical_formula_sum 'Rb2 Na1 I7'
_cell_length_a 9.204
_cell_length_b 9.204
_cell_length_c 9.204
_cell_angle_alpha 123.92
_cell_angle_beta 123.92
_cell_angle_gamma 83.33
_space_group_name_H-M_alt 'P 1'
_space_group_IT_number 1
loop_
_space_group_symop_operation_xyz
'x,y,z'
loop_
_atom_site_label
_atom_site_type_symbol
_atom_site_fract_x
_atom_site_fract_y
_atom_site_fract_z
_atom_site_occupancy
Rb1 Rb 0.250 0.750 0.500 1
Rb2 Rb 0.750 0.250 0.500 1
........
== The crystal structures stop here ==

2,439 25 11

There is an entity called the simulacra that causes ses people to 'Disappear.' takes over their online life so no one thinks they're gone. It can take the form of any free app.Bryan was unlucky enough to download one of them.And his phone is now in the hands of a complete stranger. Will they help? Or will bryan be forgotten?…

Daemos in love (MID Fanic)

## Between two parts of the page: data records
┌──
Calculated X-ray powder pattern
Compound: La2Al3Zn4Cu
Radiation: Cu Ka
Structure: a cell relaxed with GGA-PBE
No peak broadening, texture or thermal motion is included.

Principal peaks in the range 2θ = 15–90°, in order of rising 2θ:
h k l  2θ (°)  Rel. int.
1 0 1  22.02  209
1 0 3  33.02  670
1 1 2  33.70  1000
2 0 0  41.19  540
1 0 5  48.59  231
2 1 3  53.77  328
2 1 5  65.55  184
3 1 2  70.30  223

Structural model:
```
La2Al3Zn4Cu
1.0
4.383 0.000 0.000
0.000 4.383 0.000
0.000 0.000 10.363
La Al Zn Cu
2 3 4 1
Cartesian
0.000 2.192 2.567
2.192 0.000 7.796
0.000 0.000 0.000
0.000 2.192 6.570
2.192 0.000 3.793
0.000 0.000 5.182
0.000 2.192 9.085
2.192 0.000 1.278
2.192 2.192 5.182
2.192 2.192 0.000
```

----------

For YMgRe, the PBE geometry in Alexandria gives the theoretical powder diffractogram in this record (copper Kα).
Intensities are scaled so that the largest is 100.

The 10 most intense peaks (10 to 80 degrees two-theta), by angle:
- (1 0 0), 2θ 20.88, 4.254 Å, I 72
- (1 1 0), 2θ 36.59, 2.456 Å, I 85
- (1 0 1), 2θ 37.56, 2.395 Å, I 100
- (2 0 0), 2θ 42.50, 2.127 Å, I 12
- (1 1 1), 2θ 48.59, 1.874 Å, I 12
- (0 2 1), 2θ 53.44, 1.715 Å, I 36
- (2 1 0), 2θ 57.30, 1.608 Å, I 10
- (3 0 0), 2θ 65.87, 1.418 Å, I 15
- (2 1 1), 2θ 66.51, 1.406 Å, I 37
- (1 1 2), 2θ 76.31, 1.248 Å, I 16

Structural model:
Lattice parameters (Å, degrees): 4.9120 4.9120 2.8977 90.00 90.00 120.00
Space group P3m1 (No. 156)
Asymmetric unit:
Y 0.0000 0.0000 0.0000 x1
Mg 0.6667 0.3333 0.4349 x1
Re 0.3333 0.6667 0.5583 x1
└──

Daemos in love (MID Fanic)

35,884 889 81

Ava wasn't the only person brought into the deamos situation.A male roomate was brought in too.He was a homosexual so he doesn't have feelings for her.He finds he has feeling for one of them.(I only own Freddy everything else to Aphmau. Also in the introduction chapters a few of the lines were taken from )…

I'm a zombie (AU)

I'm a zombie (AU)

8,217 251 16

This is way before the endgame. Bryan went to a party, and he woke up in a body ba. The party was attacked, he woke up confused and with a sudden desire to eat brains.A few weeks later And that where the story begins…

Plan B

Plan B

857 39 4

Bryan, Jon, and Davis had a plan, a plan where if things became, they would flee to a foreign country in disguise.…

What's up with Glitchtrap

What's up with Glitchtrap

1,537 38 30

Glitchtrap is a mysterious being; nobody knows why he's in the world....or why he does what he does. Or based on what Bryan found in the portal room....whos controling him.…

Portal Origins

Portal Origins

2,974 67 24

Ever wonder where the numerous portals to other universes started?The connection to all the worlds that collide ALL the time.Well, this explains that, not directly, of course.The events that resulted in these portals being operational will be presented by...Diaries.Pictures.Witness accounts.Books.And the numerous things they left behind. Like the pendants and lockets, the eight lost.(Note from J: Due to concerns which are none of your business, the names of the original people have been replaced, the events will stay the same Thank you and enjoy your book)…

The Films Family

The Films Family

21,450 587 17

Bryan never spoke about his family. The others ever understood why. Then Bryan disappeared for a month. He then emailed Jon something cryptic.'1915 Oriental Ave Films Estate Millburrow Illinois Come get me'…

The older Christoper Afton

The older Christoper Afton

727 24 4

Bryan had bought a mental asylum in case Jon closed his place again.One of the most recent patients a John Doe was a 16-year-old boy with amnesia when Bryan got a good look at him he looked a lot like the boy that was killed and caused Afton to go crazy.…

The FamousFilms twilight zone

The FamousFilms twilight zone

1,936 122 32

The characters from the famousfilms fnaf6 roleplay entering a sound of sound, a zone of lights and sights.They will enter the twilight zone.…

The employees

The employees

517 17 6

Lefty was confused when bryan got every single human slot in ONE DAY.And every person acts weird they rarely talk, and their eyes seem emotionless.And Bryan hasn't been letting people into his office is he hiding something.…



2,320 78 9

Bryans prescription for PTSD works a plenty.He's no longer seeing Molten. But then he seems to have been forgetting thinks lately. Especially bad things.And the company won't do anything about it, and 'Pearl Siblings Pharmaceuticals' is strange, there's nothing about it online besides the website. There are no yelp reviews and no address for a headquarters.…

Landing in the museum

Landing in the museum

785 35 8

Rockstar Freddys last recollection was chasing Bryan into the portal that had become a sickly grey color,Then darkness, until he woke up with bryan in a lobby of a museum and a man with wolf ears (Mee duh), shows them around his creepy museum and goes bryan something, or someone…

Survivors Guilt (Completed)

Survivors Guilt (Completed)

974 26 6

When bryan received a phone call about his friend Kat dying he was Devastated but not for the reason you think, after that he thinks death is coming after him.…

Survivors Guilt:3 True Ending

Survivors Guilt:3 True Ending

89 4 2

Eight people escaped death either escaping from a doomed roller coaster, or being blocked in traffic.These people then lived their normal lives until.…